In my 33 years of consulting with Olympic, world champion and professional athletes, plus my consulting and mentoring experience with financial advisors--all directed at teaching them to develop a champion’s mindset, I have seen many parallels, when it comes to the critical issue of self-confidence.

**Inserted here: data records**
Entry from the Alexandria database: crystalline TmTlRu at its relaxed geometry (PBE-GGA).

Cell: 5.611 5.611 5.611 Å, 143.48 143.48 52.61°
Element x y z (fractional)
Tm: 0.000 0.000 0.000
Tl: 0.696 0.696 0.000
Ru: 0.354 0.354 0.000

- Energy of formation from the pure elements: -0.158 eV per atom
- Calculated total energy: -5.5288 eV per atom
- Size of the total moment: 0.00 μB/f.u.
- DOS at the Fermi energy: 0.499 states/eV per cell
- SG: No. 107

* * * * *

# NiAgF4

Crystalline NiAgF4 at its relaxed geometry (PBE+U, Alexandria via LeMat-Bulk).

* calculated total energy: -85.67 eV per cell

a = 6.4522 Å, b = 6.4522 Å, c = 7.9046 Å
α = 90.00°, β = 90.00°, γ = 90.00°
With the nearest neighbours (Å) after each atom.
Space group I4_1/amd (No. 141, origin choice 2)
Unique sites:

Many factors have either eroded or enhanced the level of self-confidence that you now embrace in your advising career. Is the foundation of your self-confidence strong enough to withstand challenges or threats to that confidence? That foundation is maintained and enhanced by five critical factors:

Self-Awareness Raises Self-Confidence

It is crucial to be objective and completely honest with yourself concerning the areas in your career where your self-confidence wavers. Once you recognize where your vulnerabilities lie (e.g., having to deal with your high-value clients after the market tanks), you can set realistic goals to compensate for these vulnerabilities (e.g., take a course or read a book on assertiveness).

Having A Game Plan For Difficult Times Raises Self-Confidence

The longer you spend in the advising career the clearer you can predict that there will be challenging times ahead. Just as with elite athletes, the best way to keep your self-confidence elevated is to have in place a game plan for such times. For example, do you have a regular newsletter that goes out to your clients, discussing your core values and investment strategies that are built into their portfolios for just such occasions? If not, start getting the word out and when those challenging times come, you will have already set the groundwork for them to understand the plan and be flexible and patient.

Knowledge Raises Confidence

Take all the continuing education you can find to help you feel confident in helping your clients plan for their retirement and the security for their families. For example, if a client asked you to discuss Social Security as it impacts them now and in the future, can you discuss this subject with confidence? If not, get educated.

A Sense of Belonging Raises Confidence

When you are part of a team, it raises your confidence because you can help each other traverse the minefields.  Even if you are a solo practitioner, go to conferences, get on social media (such as LinkedIn groups for advisors), to share challenges and learn about best practices from colleagues.

Understanding And Taking Charge Of Your Self-Talk Is Critical

Read my earlier blogs to see how critically important it is to understand your particular thinking habits and those which erode your self-confidence. For example, do you put yourself down whenever you make a mistake? Do you assume that disaster in your career is just around the corner? Do you allow one mistake to develop overwhelming stress and fear that it’s only a matter of time before this happens again?

All of the knowledge you absorb regarding financial planning strategies, specific products, prospecting for clients, compliance and fiduciary requirements, etc., is worthless, if you don’t address the psychological obstacles that will prevent you from using that knowledge. I’m referring to obstacles such as, self-doubt, fear of failure, overwhelming stress, etc. Such obstacles directly impact your emotions and emotions always out-trump knowledge and experience.

The good news is that all of these psychological obstacles are actually under your control. You can learn the specifics of how to take charge of your thinking patterns, your fears and your feelings of inadequacy in my book, The Financial Advisor’s Ultimate Stress Mastery Guide. The techniques are not hard to master.  It just takes persistence and practice to supercharge your self-confidence.

Dr. Jack Singer is a professional psychologist, speaker and a stress mastery mentor for financial advisors. He is the author of The Financial Advisor’s Ultimate Stress Mastery Guide, which can be ordered in the FA Mag Bookstore, using this link: /book--ultimate-stress-mastery-guide. To learn more about Dr. Jack’s keynote speaking and exclusive mentoring services for financial advisors and his unique, referral-generating program for your next client appreciation event, contact Jack at [email protected], call him at 1-800-497-9880 and read more at